**Material**
<<<
# C11H18B2BaI2N4O2

C11H18B2BaI2N4O2 as an isolated structure (ωB97M-V/def2-TZVPD, the Open Molecules 2025 dataset).

```
40
Properties=species:S:1:pos:R:3:forces:R:3
C -3.6939 -0.3077 -1.0272 0.785 0.735 -0.399
C -2.1873 -0.4872 -1.4414 -2.079 0.453 0.617
N -1.3866 -0.1311 -0.2589 0.162 -0.368 -1.239
C 0.0625 -0.0988 -0.4752 0.787 0.400 -0.835
C 0.4711 -0.6534 -1.8535 -1.558 1.741 3.696
N 0.6576 -1.1101 -2.8790 0.670 0.105 -1.838
B 0.6452 1.4447 -0.4726 1.024 1.576 -0.524
O 0.1158 2.3815 0.3973 0.014 -1.859 0.116
C 1.8354 1.9206 -1.4431 -0.465 0.819 0.917
C 2.0921 3.4779 -1.3568 0.694 -0.941 -0.504
C 0.9475 -0.9123 0.5942 1.823 0.570 -0.708
C 2.2695 -1.1578 -0.1414 -4.611 0.695 2.938
N 3.1956 -1.3689 -0.7341 3.170 -1.095 -2.508
B 0.4373 -2.4066 0.9617 0.211 -0.971 1.205
N -0.9049 -2.9662 0.7436 1.065 -0.011 -0.796
O 1.4049 -3.2563 1.5089 -0.458 1.163 -1.042
C 1.3532 -0.0618 1.8689 0.353 0.154 0.526
I 3.4304 0.5108 2.0981 -0.759 -0.320 -0.413
C 0.4953 0.3319 2.8275 -0.096 -0.339 -0.224
C -1.0050 0.0308 2.7752 0.029 0.889 1.299
I 1.1537 1.4747 4.5245 -0.732 -0.506 -0.739
H -4.3569 -0.6531 -1.8350 0.152 -0.057 0.502
H -3.9056 -0.7564 -0.0449 -0.001 -0.065 -0.546
H -3.8530 0.7874 -0.9450 -0.100 -0.573 0.081
H -2.0923 -1.5573 -1.7489 0.452 0.406 0.132
H -2.0512 0.2118 -2.2968 0.364 -0.731 0.159
H -1.7132 0.8044 -0.0054 0.341 -0.180 0.146
H 0.8291 2.6214 1.0175 -0.369 0.601 -0.186
H 1.6155 1.7134 -2.5091 0.432 -0.431 0.476
H 2.7559 1.4232 -1.0721 -0.320 -0.143 -0.660
H 1.3864 3.9895 -2.0272 0.169 0.107 0.624
H 3.1135 3.6531 -1.7471 -0.574 0.072 0.119
H 2.0945 3.8594 -0.3257 -0.286 -0.006 -0.456
H -1.2778 -2.7612 -0.1776 -0.617 0.637 0.579
H -1.5660 -2.7172 1.4748 -0.196 -0.354 -0.301
H 1.6876 -3.8649 0.8087 0.062 -0.390 0.772
H -1.5050 0.6997 2.0570 0.255 -0.505 0.221
H -1.2609 -1.0296 2.6382 0.231 0.451 -0.240
H -1.4228 0.3182 3.7593 0.110 -0.306 -0.510
Ba 0.1327 -3.3964 -3.2373 -0.132 -1.421 -0.457
```
Forces are in eV/Å.

Computed properties:
Multiplicity: 1
Net charge: +2

***

# C2H6N2

One molecule with the formula C2H6N2 (ωB97M-V/def2-TZVPD, the Open Molecules 2025 dataset).

```
10
Properties=species:S:1:pos:R:3:forces:R:3
H 1.2891 -1.3287 0.1943 0.160 -0.310 -0.577
N 1.9120 -0.5601 -0.0673 -0.729 0.390 0.901
C 1.2159 0.5197 -0.0298 0.667 -1.941 -0.545
N -0.1410 0.6570 -0.0913 -2.220 2.773 2.107
C -1.2097 -0.3760 -0.0269 -0.468 1.093 -1.529
H 1.7815 1.4298 -0.0534 -0.111 0.787 -0.151
H -0.4421 1.5675 0.3621 0.495 -1.525 -1.032
H -2.2415 0.0811 -0.5051 2.750 -1.185 1.456
H -0.7983 -1.0929 -0.7206 -0.545 -0.746 -0.333
H -1.3659 -0.8973 0.9378 0.001 0.663 -0.298
```
Forces are in eV/Å.

Computed properties:
Energy above the lowest of the compared OMol25 structures with the same formula, charge and spin: 1.495 eV
Multiplicity: 1
SMILES: [H]/N=C\NC

***

# C40H45IrN6OPS

C40H45IrN6OPS as an isolated structure (ωB97M-V/def2-TZVPD, the Open Molecules 2025 dataset).

```
95
Properties=species:S:1:pos:R:3:forces:R:3
Ir 1.2432 0.9532 0.1001 0.359 0.187 -0.200
C -0.4067 -4.5534 -0.2548 -0.057 -0.005 0.043
C 0.8849 -5.0592 -0.8345 0.116 -0.060 0.056
C 0.8955 -6.2167 -1.6129 -0.006 0.015 0.005
C 2.0756 -6.7514 -2.0988 0.041 0.028 0.014
C 3.2906 -6.1377 -1.8159 -0.033 0.001 -0.013
C 3.3080 -4.9733 -1.0705 -0.084 0.016 -0.043
C 2.1137 -4.4415 -0.5932 0.012 -0.066 -0.084
N 2.1713 -3.2274 0.1781 -0.088 0.108 -0.027
C 1.7100 -2.0495 -0.2742 0.156 -0.037 -0.266
N 1.1014 -2.0060 -1.4741 -0.002 -0.068 0.311
C 0.8020 -0.8677 -2.2615 0.231 0.035 -0.040
C 0.9794 0.4674 -1.8567 -0.461 -0.034 -0.177
C 0.8597 1.4543 -2.8351 0.086 -0.006 0.132
C 0.4931 1.1633 -4.1364 -0.014 0.045 0.056
C 0.2124 -0.1469 -4.4849 0.019 -0.018 -0.012
C 0.3827 -1.1743 -3.5749 0.057 0.044 0.080
C 0.1620 -2.6003 -4.0008 0.001 -0.024 0.018
N 1.8518 -0.9305 0.3977 -0.008 0.114 0.406
C 2.4665 -0.6913 1.6538 0.202 -0.018 -0.147
C 2.1897 -1.3784 2.8345 0.029 0.078 -0.129
C 2.8038 -0.9685 4.0044 0.054 0.073 0.035
C 3.6482 0.1419 4.0160 -0.028 -0.091 0.013
>>>
**Wanted**
What is needed: start at the top of the lines further up and print each line, ending with the one that has "-0.2548 -0.057".
**Here it is**
# C11H18B2BaI2N4O2

C11H18B2BaI2N4O2 as an isolated structure (ωB97M-V/def2-TZVPD, the Open Molecules 2025 dataset).

```
40
Properties=species:S:1:pos:R:3:forces:R:3
C -3.6939 -0.3077 -1.0272 0.785 0.735 -0.399
C -2.1873 -0.4872 -1.4414 -2.079 0.453 0.617
N -1.3866 -0.1311 -0.2589 0.162 -0.368 -1.239
C 0.0625 -0.0988 -0.4752 0.787 0.400 -0.835
C 0.4711 -0.6534 -1.8535 -1.558 1.741 3.696
N 0.6576 -1.1101 -2.8790 0.670 0.105 -1.838
B 0.6452 1.4447 -0.4726 1.024 1.576 -0.524
O 0.1158 2.3815 0.3973 0.014 -1.859 0.116
C 1.8354 1.9206 -1.4431 -0.465 0.819 0.917
C 2.0921 3.4779 -1.3568 0.694 -0.941 -0.504
C 0.9475 -0.9123 0.5942 1.823 0.570 -0.708
C 2.2695 -1.1578 -0.1414 -4.611 0.695 2.938
N 3.1956 -1.3689 -0.7341 3.170 -1.095 -2.508
B 0.4373 -2.4066 0.9617 0.211 -0.971 1.205
N -0.9049 -2.9662 0.7436 1.065 -0.011 -0.796
O 1.4049 -3.2563 1.5089 -0.458 1.163 -1.042
C 1.3532 -0.0618 1.8689 0.353 0.154 0.526
I 3.4304 0.5108 2.0981 -0.759 -0.320 -0.413
C 0.4953 0.3319 2.8275 -0.096 -0.339 -0.224
C -1.0050 0.0308 2.7752 0.029 0.889 1.299
I 1.1537 1.4747 4.5245 -0.732 -0.506 -0.739
H -4.3569 -0.6531 -1.8350 0.152 -0.057 0.502
H -3.9056 -0.7564 -0.0449 -0.001 -0.065 -0.546
H -3.8530 0.7874 -0.9450 -0.100 -0.573 0.081
H -2.0923 -1.5573 -1.7489 0.452 0.406 0.132
H -2.0512 0.2118 -2.2968 0.364 -0.731 0.159
H -1.7132 0.8044 -0.0054 0.341 -0.180 0.146
H 0.8291 2.6214 1.0175 -0.369 0.601 -0.186
H 1.6155 1.7134 -2.5091 0.432 -0.431 0.476
H 2.7559 1.4232 -1.0721 -0.320 -0.143 -0.660
H 1.3864 3.9895 -2.0272 0.169 0.107 0.624
H 3.1135 3.6531 -1.7471 -0.574 0.072 0.119
H 2.0945 3.8594 -0.3257 -0.286 -0.006 -0.456
H -1.2778 -2.7612 -0.1776 -0.617 0.637 0.579
H -1.5660 -2.7172 1.4748 -0.196 -0.354 -0.301
H 1.6876 -3.8649 0.8087 0.062 -0.390 0.772
H -1.5050 0.6997 2.0570 0.255 -0.505 0.221
H -1.2609 -1.0296 2.6382 0.231 0.451 -0.240
H -1.4228 0.3182 3.7593 0.110 -0.306 -0.510
Ba 0.1327 -3.3964 -3.2373 -0.132 -1.421 -0.457
```
Forces are in eV/Å.

Computed properties:
Multiplicity: 1
Net charge: +2

***

# C2H6N2

One molecule with the formula C2H6N2 (ωB97M-V/def2-TZVPD, the Open Molecules 2025 dataset).

```
10
Properties=species:S:1:pos:R:3:forces:R:3
H 1.2891 -1.3287 0.1943 0.160 -0.310 -0.577
N 1.9120 -0.5601 -0.0673 -0.729 0.390 0.901
C 1.2159 0.5197 -0.0298 0.667 -1.941 -0.545
N -0.1410 0.6570 -0.0913 -2.220 2.773 2.107
C -1.2097 -0.3760 -0.0269 -0.468 1.093 -1.529
H 1.7815 1.4298 -0.0534 -0.111 0.787 -0.151
H -0.4421 1.5675 0.3621 0.495 -1.525 -1.032
H -2.2415 0.0811 -0.5051 2.750 -1.185 1.456
H -0.7983 -1.0929 -0.7206 -0.545 -0.746 -0.333
H -1.3659 -0.8973 0.9378 0.001 0.663 -0.298
```
Forces are in eV/Å.

Computed properties:
Energy above the lowest of the compared OMol25 structures with the same formula, charge and spin: 1.495 eV
Multiplicity: 1
SMILES: [H]/N=C\NC

***

# C40H45IrN6OPS

C40H45IrN6OPS as an isolated structure (ωB97M-V/def2-TZVPD, the Open Molecules 2025 dataset).

```
95
Properties=species:S:1:pos:R:3:forces:R:3
Ir 1.2432 0.9532 0.1001 0.359 0.187 -0.200
C -0.4067 -4.5534 -0.2548 -0.057 -0.005 0.043